John Whitehead demonstrating the benefits of the CareLink Advantage Med-Sure Stand.

John Whitehead, President of CareLink Advantage holding the Med-Sure Stand with Cambrian College President, Sylvia Barnard.
CareLink Advantage And Cambrian College Testing Technology To Help Seniors Live Safely and Independently At Home
For 12 weeks, 4 Cambrian Bachelor of Science in Nursing (BScN) students will be conducting an important study that will test technology that may reduce health care costs and substantially improve Ontario seniors’ lives, and those of their caregivers, by helping seniors to stay safely in their own homes for longer periods of time.
Using a combination of technologies that include door contacts, motion sensors, bed sensors, medication monitors, remote-controlled video cameras, and an online monitoring program, CareLink Advantage, a Sudbury-based business, has been providing services that help seniors live at home, even with serious health challenges. Students will be testing the system with the help of 20 local seniors and their caregivers. Ten seniors will have the technology installed in their homes, and the other 10 will live in their homes without the benefit of this technology. The study will commence in January.
CareLink President John Whitehead said he is confident that his “made in Sudbury solution” will help Ontario seniors who want to live independently, because it provides caregivers with powerful tools to perform their roles with less stress and anxiety. This reduces caregiver burnout, which is a major reason why many seniors are moved to a higher level of care. “The idea for this technology started when my mother was diagnosed with early-stage Alzheimer’s disease,” explained Whitehead. “She wanted to stay in her home, but caring for her was taking a toll on my siblings and my family. Now that we’ve refined the technology, we’ve been able to improve lives, save healthcare costs, and allow seniors to live in their own homes, where the majority of them prefer to be.”
Whitehead says the technology has been proven effective in other provinces, reducing public healthcare costs. “CareLink Advantage has already helped families across this country to keep their loved ones living independently in their own homes longer,” he explains. “The end result has been a reduced demand for assisted living services and for long-term care beds, and in some cases, a reduction in the demand for alternate long-term care beds.”
Here the piece breaks off for data records:
/*
--- w ---
{"formula": "C2H8N2S", "method": "the ωB97M-V functional and the def2-TZVPD basis", "species": ["C", "S", "H", "H", "H", "N", "C", "N", "H", "H", "H", "H", "H"], "coordinates": [[-2.875, -1.505, 1.289], [-1.562, -0.522, 0.532], [-2.912, -2.484, 0.801], [-2.666, -1.662, 2.338], [-3.860, -1.057, 1.127], [0.905, 1.236, -1.453], [2.144, 0.953, -1.123], [2.365, 0.592, 0.124], [0.228, 0.956, -0.758], [0.613, 1.781, -2.245], [2.959, 1.199, -1.801], [3.108, -0.025, 0.422], [1.553, 0.539, 0.747]], "e_lumo_ha": -0.02491, "gap_ev": 4.97}


--- x ---
{"formula": "C2H8N2S", "method": "the ωB97M-V functional and the def2-TZVPD basis", "species": ["C", "C", "H", "H", "H", "H", "N", "S", "N", "H", "H", "H", "H"], "coordinates": [[-1.550, -1.844, -0.073], [-1.524, -0.564, 0.233], [-1.784, -2.615, 0.691], [-1.237, -2.073, -1.160], [-1.459, -0.139, 1.175], [-1.216, 0.056, -0.544], [1.540, -1.111, -0.021], [1.393, 0.391, 0.709], [1.872, 1.300, -0.532], [0.785, -1.789, -0.390], [1.999, -1.802, 0.574], [1.245, 1.542, -1.276], [2.858, 1.014, -0.771]], "e_lumo_ha": 0.03712, "gap_ev": 9.42}


--- y ---
{"formula": "C2H8N2S", "method": "the ωB97M-V functional and the def2-TZVPD basis", "species": ["H", "N", "C", "S", "H", "H", "C", "N", "H", "H", "H", "H", "H"], "coordinates": [[-1.176, 1.350, -1.136], [-0.356, 0.858, -1.140], [-0.110, 0.293, -2.295], [-1.118, -0.079, -3.587], [0.654, -0.465, -2.421], [-0.633, -1.134, -4.553], [0.562, -0.115, 2.671], [0.395, -0.391, 1.259], [1.586, -0.161, 2.903], [0.295, 0.836, 3.053], [0.030, -0.823, 3.285], [0.488, 0.468, 0.782], [-0.615, -0.637, 1.179]], "e_lumo_ha": 0.00549, "gap_ev": 9.14}


Energetically preferred structure: w | next structure: +0.0093 hartree


--- w ---
{"formula": "C3H3BrF2", "method": "the ωB97M-V functional and the def2-TZVPD basis", "species": ["C", "C", "C", "F", "F", "Br", "H", "H", "H"], "coordinates": [[0.555, -0.701, 0.038], [0.249, 0.517, 0.357], [-1.312, 1.341, -0.390], [0.757, 1.375, 1.187], [-0.862, 1.642, -1.651], [-2.706, 0.039, -0.385], [1.355, -1.277, 0.536], [0.016, -1.257, -0.857], [-1.529, 2.075, 0.349]], "e_lumo_ha": 0.02991, "gap_ev": 10.92}


--- x ---
{"formula": "C3H3BrF2", "method": "the ωB97M-V functional and the def2-TZVPD basis", "species": ["C", "C", "C", "F", "F", "Br", "H", "H", "H"], "coordinates": [[1.480, 0.817, 0.054], [1.179, -0.406, -0.148], [-1.486, -0.596, 0.025], [-1.982, -1.261, -1.023], [-1.911, -1.175, 1.150], [-1.907, 1.266, -0.030], [2.494, 1.200, 0.091], [0.712, 1.577, 0.193], [1.420, -1.423, -0.312]], "e_lumo_ha": [0.00065, -0.01838], "gap_ev": [9.09, 8.24]}


--- y ---
*/
The government of New Brunswick fully funds the service; the government of Alberta has completed a pilot project and is working on funding models; and a pilot project is underway in British Columbia with the intention of funding CareLink Advantage services in that province. Whitehead hopes that the Cambrian study will prove the effectiveness of the technology to the province of Ontario, so that our government will fund the service.
== Someone pasted molecular data at this point ==
# 1
8
Properties=species:S:1:pos:R:3:forces:R:3:nbo_charge:R:1 method="wB97M-V/def2-TZVPD" gap_ev=8.85 spin_multiplicity=1 smiles="O=C1N=CC=N1" e_above_lowest_ev=0.672
O 2.487 1.385 -2.475 -0.315 0.091 0.778 -0.435
N 0.481 0.355 -1.969 -1.755 -0.956 -0.711 -0.452
N 1.740 1.090 -0.031 1.159 0.353 -2.750 -0.386
C 0.782 0.339 0.281 0.916 0.937 0.390 -0.029
C -0.045 -0.063 -0.884 3.252 1.868 -0.887 0.135
C 1.667 1.031 -1.704 0.606 0.135 2.422 0.750
H 0.736 0.175 1.329 -0.992 -0.680 0.725 0.219
H -0.920 -0.558 -0.856 -2.871 -1.747 0.033 0.198

# 2
125
Properties=species:S:1:pos:R:3:forces:R:3:lowdin_charge:R:1 method="wB97M-V/def2-TZVPD" gap_ev=6.86 spin_multiplicity=1
I 1.873 0.913 -4.336 0.410 0.192 -0.433 0.159
Cd -0.281 0.484 -0.551 0.247 -1.448 -0.606 1.440
Se 4.044 -2.571 0.517 0.311 -0.286 -0.016 0.682
Se 1.801 -2.991 0.390 -0.134 -0.462 -0.374 0.663
O -0.995 1.588 -2.889 0.113 -0.654 0.117 -0.232
O -0.579 -1.106 1.584 -0.169 0.309 -0.163 -0.158
O -2.495 -7.319 -1.032 0.029 -0.279 0.151 0.088
N -3.119 -5.393 -2.027 -0.337 -0.313 -0.058 0.128
N -0.873 -5.922 -1.842 0.089 0.258 -0.180 0.141
N 2.731 -0.361 1.529 -0.008 0.114 -0.005 -0.002
N -2.163 -1.882 -1.548 -0.153 0.513 -0.011 0.044
N 0.675 -1.622 -1.795 -0.389 0.945 0.022 -0.023
N 0.019 3.547 0.159 0.124 0.097 -0.041 0.012
N -0.818 2.507 1.993 0.007 -0.085 0.121 0.021
C 1.583 3.930 -1.735 0.125 0.166 -0.046 -0.131
C 5.107 -0.186 1.732 -0.143 -0.210 -0.105 -0.102
C 0.302 3.995 -1.167 0.011 0.212 -0.721 -0.124
C 3.701 1.595 2.474 0.138 -0.001 0.050 -0.080
C -3.078 -4.013 -2.143 0.040 0.562 -0.058 -0.222
C -0.189 4.481 1.160 -0.033 0.069 0.372 -0.076
C 0.327 -1.478 -3.074 -0.250 -0.377 -0.118 -0.331
C -0.600 1.439 4.186 0.099 0.041 -0.153 -0.129
C -2.609 1.047 2.892 -0.134 0.054 0.110 -0.127
C -2.132 4.770 -1.302 -0.165 -0.005 -0.064 -0.366
C -0.677 3.863 2.248 0.025 0.434 -0.080 -0.079
C -0.762 4.544 -1.908 0.058 0.027 0.212 -0.150
C 3.039 2.021 -0.935 0.081 0.124 -0.195 -0.089
C -2.997 0.110 3.846 0.119 -0.045 0.000 -0.051
C -1.041 0.506 5.115 0.022 -0.088 -0.056 -0.041
C 0.269 -6.672 -1.503 0.168 -0.235 0.161 -0.230
C 4.973 1.064 2.304 -0.216 0.030 -0.031 -0.055
C 0.740 -2.354 -4.073 -0.087 -0.082 0.070 -0.108
C 1.535 -7.994 0.045 0.056 0.046 -0.155 -0.032
C 2.612 0.842 2.072 0.258 0.194 0.117 -0.178
C -3.631 2.766 1.297 -0.160 -0.165 0.074 -0.058
C 0.683 4.787 -3.820 0.004 -0.025 0.045 -0.071
C -1.344 1.653 3.006 -0.298 -0.457 0.486 -0.113
C 2.861 3.536 -1.018 -0.040 -0.200 0.277 -0.343
C 0.631 2.243 4.555 0.105 0.034 0.150 -0.371
C -3.753 0.318 0.767 -0.019 0.131 0.237 -0.066
C 1.460 -2.641 -1.492 0.544 -0.334 0.843 -0.644
C -2.207 -0.203 4.927 -0.020 -0.020 0.028 -0.069
C -0.557 4.924 -3.228 0.033 -0.038 0.077 -0.052
C 3.945 -0.849 1.351 -0.266 0.172 0.010 -0.673
C 1.597 -3.383 -3.744 -0.066 0.102 0.226 -0.058
C 2.627 -8.006 -0.813 -0.020 -0.014 0.006 -0.281
C -4.048 -3.380 -2.922 0.218 0.078 0.091 -0.005
C 1.337 -6.723 -2.394 -0.202 0.035 0.027 -0.042
Cambrian President Sylvia Barnard said the collaboration with CareLink is one of dozens that the College has on the go right now. “Applied Research at Cambrian is showing remarkable growth since the opening of our Xstrata Nickel Sustainable Energy Centre,” she explained. “With new labs to conduct research, and a team to manage projects and create collaborative partnerships, our faculty and students are engaged across the College in projects that vary in size and scope.”
Cambrian’s research with CareLink Advantage is supported by $30,000 in funding from the Colleges Ontario Network for Industry Innovation (CONII). “This partnership is another example of what CONII does for its 23 member colleges, business, and students,” says Executive Director Vanessa Williamson. “Colleges have the expertise, technology, and facilities that many innovative businesses rely on to conduct research that can solve practical problems and help bring their products to market. This project is very exciting because the outcome is expected to help families and seniors who need help living safely in their own homes.”
Applied Research at Cambrian College
Applied research identifies, tests, and finds practical solutions to improve processes, systems, technologies, and tools used in any industry or service. Cambrian’s Department of Planning and Research advances College, industry and community problem-solving capabilities through applied research projects and services that involve research grant submissions and project management; strategic partnership development; technology and intellectual property transfer; and the generation of new knowledge for the betterment of our community.